Print all of the block underneath without additions.

-- begin --
# 1
This record from OMol25 describes a structure of composition C25H30AuClNO4P. The level of theory is ωB97M-V with the def2-TZVPD basis set.

Structure (XYZ):
```
63
C25H30AuClNO4P (ωB97M-V with the def2-TZVPD basis set)
Au 11.11 9.80 9.62
C 7.56 9.08 7.96
C 6.64 8.98 9.18
C 5.95 10.30 9.45
C 7.31 8.62 10.48
C 6.72 8.85 11.75
C 7.23 8.30 12.92
C 8.31 7.45 12.88
C 9.07 7.33 11.75
C 10.25 6.33 11.80
C 10.66 5.79 10.40
C 11.40 6.98 12.61
C 8.70 8.13 10.56
N 9.64 8.42 9.71
H 7.00 9.27 7.04
H 8.15 8.15 7.86
H 8.20 10.02 8.23
H 5.96 8.17 9.00
H 6.74 11.08 9.68
H 5.21 10.31 10.34
H 5.45 10.67 8.58
H 5.87 9.54 11.85
H 6.76 8.56 13.87
H 8.52 6.95 13.79
H 9.94 5.43 12.36
H 11.39 6.38 9.83
H 9.77 5.62 9.75
H 11.09 4.75 10.66
H 11.61 7.98 12.31
H 12.31 6.39 12.48
H 11.16 7.04 13.67
O 7.84 13.46 10.96
Cl 9.18 12.90 10.56
O 9.11 12.29 9.21
O 10.22 13.88 10.62
O 9.50 11.76 11.43
C 12.92 12.73 8.95
P 13.09 10.93 9.21
C 14.36 10.75 10.54
C 15.09 9.53 10.52
C 16.04 9.28 11.51
C 16.23 10.20 12.51
C 15.53 11.41 12.53
C 14.54 11.65 11.56
C 13.86 10.21 7.65
C 13.26 9.25 6.88
C 14.00 8.63 5.87
C 15.30 9.02 5.56
C 15.89 10.03 6.32
C 15.17 10.61 7.37
H 13.77 13.38 9.33
H 11.96 13.02 9.45
H 12.81 12.81 7.87
H 14.97 8.81 9.74
H 16.67 8.44 11.38
H 17.06 10.10 13.21
H 15.66 12.14 13.31
H 13.87 12.51 11.55
H 12.22 9.07 7.09
H 13.56 7.80 5.35
H 15.84 8.58 4.75
H 16.86 10.45 6.06
H 15.58 11.35 8.09
```

The calculation puts the HOMO energy at 0.030 hartree. The calculation puts the maximum force at 0.093 hartree/bohr. Its electronic energy is -61585.712 eV. Its total charge is -2.

natural (NBO) population analysis, charges in e, atoms 1 to 5: number 1, Au, carries 0.5355; number 2, C, carries -0.6126; number 3, C, carries -0.2455; number 4, C, carries -0.6050; number 5, C, carries -0.1278

---

# 2
This record from OMol25 describes a structure of composition C25H30B2BrF4N6O10ReS2. The level of theory is ωB97M-V with the def2-TZVPD basis set.

Structure (XYZ):
```
81
C25H30B2BrF4N6O10ReS2 (ωB97M-V with the def2-TZVPD basis set)
Re -1.34 1.26 0.85
C -4.04 2.38 4.07
C -3.37 1.92 2.82
N -2.08 1.86 2.67
O -1.30 2.32 3.65
B 0.21 2.23 3.38
F 0.84 2.70 4.48
F 0.50 0.90 3.05
O 0.60 3.09 2.20
N 0.12 2.65 1.03
C 0.49 3.27 -0.08
C 1.54 4.33 -0.09
C -0.26 2.90 -1.25
N -1.19 1.98 -1.02
O -2.04 1.70 -2.08
B -3.35 1.23 -1.85
F -2.34 -0.15 -4.33
F -4.18 1.52 -2.87
O -4.03 1.25 -0.61
N -3.38 1.25 0.59
C -4.11 1.60 1.61
C -5.59 1.78 1.52
C -0.07 3.58 -2.56
H -3.29 2.66 4.80
H -4.66 1.58 4.48
H -4.69 3.24 3.87
H 2.02 4.37 0.88
H 1.10 5.31 -0.30
H 2.29 4.12 -0.86
H -5.96 1.30 0.61
H -5.86 2.84 1.48
H -6.08 1.34 2.39
H 0.98 3.59 -2.84
H -0.40 4.62 -2.49
H -0.66 3.09 -3.33
O -1.44 -2.02 -3.18
S -2.79 -1.26 -3.36
O -3.18 -0.59 -2.13
O -3.73 -2.06 -4.02
S -0.15 -1.31 -2.20
C 4.26 -3.88 2.62
C 3.08 -4.83 2.50
N 1.87 -4.16 2.00
C 1.50 -4.41 0.61
C 2.55 -3.89 -0.37
C 1.13 -3.51 2.93
O 1.41 -3.52 4.12
C -0.15 -2.79 2.56
C -1.33 -3.24 3.13
C -2.49 -2.49 3.00
C -2.42 -1.29 2.33
N -1.29 -0.83 1.78
C -0.17 -1.57 1.89
H 5.13 -4.42 3.01
H 4.02 -3.08 3.32
H 4.53 -3.44 1.66
H 2.85 -5.23 3.48
H 3.30 -5.65 1.82
H 0.54 -3.95 0.41
H 1.40 -5.49 0.47
H 2.77 -2.84 -0.19
H 2.18 -4.01 -1.39
H 3.48 -4.45 -0.28
H -1.34 -4.17 3.69
H -3.42 -2.82 3.42
H -3.30 -0.67 2.23
H 0.74 -1.14 1.51
Br 4.41 0.95 -1.58
C 3.82 1.10 -3.37
C 4.73 1.64 -4.27
C 4.41 1.75 -5.62
C 3.18 1.32 -6.09
C 2.26 0.79 -5.20
C 2.56 0.67 -3.83
C 1.56 0.02 -3.01
O 0.51 -0.56 -3.58
O 1.55 -0.18 -1.78
H 5.69 1.97 -3.90
H 5.14 2.16 -6.30
H 2.93 1.39 -7.14
H 1.30 0.44 -5.55
```

The spin multiplicity is 4. The calculation puts the HOMO energy (alpha / beta) at -0.382 / -0.403 hartree. The calculation puts the maximum force at 0.021 hartree/bohr. Its electronic energy is -161890.190 eV. The expectation value of S² is 3.777. Its total charge is +1. The relative energy (zero: lowest compared OMol25 entry of this formula, charge and spin) is 75.8 kcal/mol.
-- stop --

# 1
This record from OMol25 describes a structure of composition C25H30AuClNO4P. The level of theory is ωB97M-V with the def2-TZVPD basis set.

Structure (XYZ):
```
63
C25H30AuClNO4P (ωB97M-V with the def2-TZVPD basis set)
Au 11.11 9.80 9.62
C 7.56 9.08 7.96
C 6.64 8.98 9.18
C 5.95 10.30 9.45
C 7.31 8.62 10.48
C 6.72 8.85 11.75
C 7.23 8.30 12.92
C 8.31 7.45 12.88
C 9.07 7.33 11.75
C 10.25 6.33 11.80
C 10.66 5.79 10.40
C 11.40 6.98 12.61
C 8.70 8.13 10.56
N 9.64 8.42 9.71
H 7.00 9.27 7.04
H 8.15 8.15 7.86
H 8.20 10.02 8.23
H 5.96 8.17 9.00
H 6.74 11.08 9.68
H 5.21 10.31 10.34
H 5.45 10.67 8.58
H 5.87 9.54 11.85
H 6.76 8.56 13.87
H 8.52 6.95 13.79
H 9.94 5.43 12.36
H 11.39 6.38 9.83
H 9.77 5.62 9.75
H 11.09 4.75 10.66
H 11.61 7.98 12.31
H 12.31 6.39 12.48
H 11.16 7.04 13.67
O 7.84 13.46 10.96
Cl 9.18 12.90 10.56
O 9.11 12.29 9.21
O 10.22 13.88 10.62
O 9.50 11.76 11.43
C 12.92 12.73 8.95
P 13.09 10.93 9.21
C 14.36 10.75 10.54
C 15.09 9.53 10.52
C 16.04 9.28 11.51
C 16.23 10.20 12.51
C 15.53 11.41 12.53
C 14.54 11.65 11.56
C 13.86 10.21 7.65
C 13.26 9.25 6.88
C 14.00 8.63 5.87
C 15.30 9.02 5.56
C 15.89 10.03 6.32
C 15.17 10.61 7.37
H 13.77 13.38 9.33
H 11.96 13.02 9.45
H 12.81 12.81 7.87
H 14.97 8.81 9.74
H 16.67 8.44 11.38
H 17.06 10.10 13.21
H 15.66 12.14 13.31
H 13.87 12.51 11.55
H 12.22 9.07 7.09
H 13.56 7.80 5.35
H 15.84 8.58 4.75
H 16.86 10.45 6.06
H 15.58 11.35 8.09
```

The calculation puts the HOMO energy at 0.030 hartree. The calculation puts the maximum force at 0.093 hartree/bohr. Its electronic energy is -61585.712 eV. Its total charge is -2.

natural (NBO) population analysis, charges in e, atoms 1 to 5: number 1, Au, carries 0.5355; number 2, C, carries -0.6126; number 3, C, carries -0.2455; number 4, C, carries -0.6050; number 5, C, carries -0.1278

---

# 2
This record from OMol25 describes a structure of composition C25H30B2BrF4N6O10ReS2. The level of theory is ωB97M-V with the def2-TZVPD basis set.

Structure (XYZ):
```
81
C25H30B2BrF4N6O10ReS2 (ωB97M-V with the def2-TZVPD basis set)
Re -1.34 1.26 0.85
C -4.04 2.38 4.07
C -3.37 1.92 2.82
N -2.08 1.86 2.67
O -1.30 2.32 3.65
B 0.21 2.23 3.38
F 0.84 2.70 4.48
F 0.50 0.90 3.05
O 0.60 3.09 2.20
N 0.12 2.65 1.03
C 0.49 3.27 -0.08
C 1.54 4.33 -0.09
C -0.26 2.90 -1.25
N -1.19 1.98 -1.02
O -2.04 1.70 -2.08
B -3.35 1.23 -1.85
F -2.34 -0.15 -4.33
F -4.18 1.52 -2.87
O -4.03 1.25 -0.61
N -3.38 1.25 0.59
C -4.11 1.60 1.61
C -5.59 1.78 1.52
C -0.07 3.58 -2.56
H -3.29 2.66 4.80
H -4.66 1.58 4.48
H -4.69 3.24 3.87
H 2.02 4.37 0.88
H 1.10 5.31 -0.30
H 2.29 4.12 -0.86
H -5.96 1.30 0.61
H -5.86 2.84 1.48
H -6.08 1.34 2.39
H 0.98 3.59 -2.84
H -0.40 4.62 -2.49
H -0.66 3.09 -3.33
O -1.44 -2.02 -3.18
S -2.79 -1.26 -3.36
O -3.18 -0.59 -2.13
O -3.73 -2.06 -4.02
S -0.15 -1.31 -2.20
C 4.26 -3.88 2.62
C 3.08 -4.83 2.50
N 1.87 -4.16 2.00
C 1.50 -4.41 0.61
C 2.55 -3.89 -0.37
C 1.13 -3.51 2.93
O 1.41 -3.52 4.12
C -0.15 -2.79 2.56
C -1.33 -3.24 3.13
C -2.49 -2.49 3.00
C -2.42 -1.29 2.33
N -1.29 -0.83 1.78
C -0.17 -1.57 1.89
H 5.13 -4.42 3.01
H 4.02 -3.08 3.32
H 4.53 -3.44 1.66
H 2.85 -5.23 3.48
H 3.30 -5.65 1.82
H 0.54 -3.95 0.41
H 1.40 -5.49 0.47
H 2.77 -2.84 -0.19
H 2.18 -4.01 -1.39
H 3.48 -4.45 -0.28
H -1.34 -4.17 3.69
H -3.42 -2.82 3.42
H -3.30 -0.67 2.23
H 0.74 -1.14 1.51
Br 4.41 0.95 -1.58
C 3.82 1.10 -3.37
C 4.73 1.64 -4.27
C 4.41 1.75 -5.62
C 3.18 1.32 -6.09
C 2.26 0.79 -5.20
C 2.56 0.67 -3.83
C 1.56 0.02 -3.01
O 0.51 -0.56 -3.58
O 1.55 -0.18 -1.78
H 5.69 1.97 -3.90
H 5.14 2.16 -6.30
H 2.93 1.39 -7.14
H 1.30 0.44 -5.55
```

The spin multiplicity is 4. The calculation puts the HOMO energy (alpha / beta) at -0.382 / -0.403 hartree. The calculation puts the maximum force at 0.021 hartree/bohr. Its electronic energy is -161890.190 eV. The expectation value of S² is 3.777. Its total charge is +1. The relative energy (zero: lowest compared OMol25 entry of this formula, charge and spin) is 75.8 kcal/mol.